• Given:
~~~
# 1
For GdSiHO4, a structure optimized by DFT (GGA-PBE) gives the calculated XRD peak list in this record (Cu Kα, 1.54184 Å).

Atomic structure:
```
data_GdSiHO4
_chemical_formula_sum 'Gd4 Si4 H4 O16'
_space_group_name_H-M_alt 'P 1 21/c 1'
_space_group_IT_number 14
_cell_length_a 5.405
_cell_length_b 6.233
_cell_length_c 11.109
_cell_angle_alpha 90.00
_cell_angle_beta 115.47
_cell_angle_gamma 90.00
loop_
_space_group_symop_operation_xyz
'x,y,z'
'-x,-y,-z'
'-x,y+1/2,-z+1/2'
'x,-y+1/2,z+1/2'
loop_
_atom_site_label
_atom_site_type_symbol
_atom_site_fract_x
_atom_site_fract_y
_atom_site_fract_z
Gd1 Gd 0.074 0.103 0.352
Si1 Si 0.407 0.163 0.656
H1 H 0.334 0.509 0.562
O1 O 0.256 0.163 0.755
O2 O 0.262 0.659 0.770
O3 O 0.284 0.546 0.059
O4 O 0.285 0.141 0.040
```

Peak list (10 most intense, 10° ≤ 2θ ≤ 90°, by angle)
hkl  two_theta  I/Imax
0 1 1  16.75  100
1 0 0  18.18  55
1 1 0  23.15  26
1 1 -2  23.94  47
1 1 1  27.53  35
1 1 -3  28.86  37
0 1 3  30.34  57
2 0 -2  33.21  90
1 1 2  33.86  29
1 0 4  47.36  31

# 2
For Cu2Ag5, a structure optimized by DFT (GGA-PBE) gives the calculated XRD peak list in this record (Cu Kα, 1.54184 Å).

Atomic structure:
```
data_Cu2Ag5
_chemical_formula_sum 'Cu4 Ag10'
_space_group_name_H-M_alt 'C 1 2/m 1'
_space_group_IT_number 12
_cell_length_a 9.494
_cell_length_b 2.884
_cell_length_c 8.392
_cell_angle_alpha 90.00
_cell_angle_beta 93.89
_cell_angle_gamma 90.00
loop_
_space_group_symop_operation_xyz
'x,y,z'
'-x,-y,-z'
'-x,y,-z'
'x,-y,z'
'x+1/2,y+1/2,z'
'-x+1/2,-y+1/2,-z'
'-x+1/2,y+1/2,-z'
'x+1/2,-y+1/2,z'
loop_
_atom_site_label
_atom_site_type_symbol
_atom_site_fract_x
_atom_site_fract_y
_atom_site_fract_z
Cu1 Cu 0.215 0.000 0.373
Ag1 Ag 0.000 0.500 0.500
Ag2 Ag 0.082 0.000 0.780
Ag3 Ag 0.142 0.500 0.086
```

Peak list (10 most intense, 10° ≤ 2θ ≤ 90°, by angle)
hkl  two_theta  I/Imax
2 0 3  38.54  33
1 1 -2  38.75  100
3 1 1  44.37  45
2 0 -4  46.21  18
6 0 2  64.48  8
1 1 5  65.80  12
5 1 -3  66.18  12
5 1 4  77.64  8
2 2 3  77.83  8
4 2 -1  78.00  15

# 3
For SrTh2Tc2, a structure optimized by DFT (GGA-PBE) gives the calculated XRD peak list in this record (Cu Kα, 1.54184 Å).

Atomic structure:
```
data_SrTh2Tc2
_chemical_formula_sum 'Sr4 Th8 Tc8'
_space_group_name_H-M_alt 'I b a m'
_space_group_IT_number 72
_space_group_name_Hall '-I 2 2c'
_cell_length_a 8.682
_cell_length_b 9.833
_cell_length_c 6.222
_cell_angle_alpha 90.00
_cell_angle_beta 90.00
_cell_angle_gamma 90.00
loop_
_atom_site_label
_atom_site_type_symbol
_atom_site_fract_x
_atom_site_fract_y
_atom_site_fract_z
Sr1 Sr 0.000 0.000 0.250
Th1 Th 0.115 0.353 0.000
Tc1 Tc 0.179 0.356 0.500
```

Peak list (10 most intense, 10° ≤ 2θ ≤ 90°, by angle)
hkl  two_theta  I/Imax
1 1 0  13.61  70
2 1 1  26.63  56
0 0 2  28.69  71
1 3 0  29.12  100
1 1 2  31.88  81
3 1 0  32.24  44
3 2 1  38.90  65
1 3 2  41.34  31
0 4 2  47.12  49
4 0 2  51.34  74

# 4
For NbZn16, a structure optimized by DFT (GGA-PBE) gives the calculated XRD peak list in this record (Cu Kα, 1.54184 Å).

Atomic structure:
```
data_NbZn16
_chemical_formula_sum 'Nb4 Zn64'
_space_group_name_H-M_alt 'C m c m'
_space_group_IT_number 63
_space_group_name_Hall '-C 2c 2'
_cell_length_a 7.670
_cell_length_b 11.407
_cell_length_c 11.631
_cell_angle_alpha 90.00
_cell_angle_beta 90.00
_cell_angle_gamma 90.00
loop_
_atom_site_label
_atom_site_type_symbol
_atom_site_fract_x
_atom_site_fract_y
_atom_site_fract_z
Nb1 Nb 0.000 0.048 0.250
Zn1 Zn 0.000 0.000 0.000
Zn2 Zn 0.000 0.176 0.640
Zn3 Zn 0.000 0.291 0.250
Zn4 Zn 0.000 0.380 0.532
Zn5 Zn 0.163 0.356 0.750
Zn6 Zn 0.168 0.187 0.069
Zn7 Zn 0.203 0.447 0.134
```

Peak list (10 most intense, 10° ≤ 2θ ≤ 90°, by angle)
hkl  two_theta  I/Imax
2 0 4  38.87  27
0 4 3  39.25  63
2 4 1  40.16  87
1 3 4  40.80  78
1 5 0  41.30  29
0 2 5  41.97  99
2 2 4  42.09  35
3 1 3  43.12  100
3 3 2  45.51  28
6 0 0  74.20  29

# 5
For Pr2GdTa2N6, a structure optimized by DFT (GGA-PBE) gives the calculated XRD peak list in this record (Cu Kα, 1.54184 Å).
~~~
• Activity:
Could you give back the entries further above with every line break kept?
• Done:
# 1
For GdSiHO4, a structure optimized by DFT (GGA-PBE) gives the calculated XRD peak list in this record (Cu Kα, 1.54184 Å).

Atomic structure:
```
data_GdSiHO4
_chemical_formula_sum 'Gd4 Si4 H4 O16'
_space_group_name_H-M_alt 'P 1 21/c 1'
_space_group_IT_number 14
_cell_length_a 5.405
_cell_length_b 6.233
_cell_length_c 11.109
_cell_angle_alpha 90.00
_cell_angle_beta 115.47
_cell_angle_gamma 90.00
loop_
_space_group_symop_operation_xyz
'x,y,z'
'-x,-y,-z'
'-x,y+1/2,-z+1/2'
'x,-y+1/2,z+1/2'
loop_
_atom_site_label
_atom_site_type_symbol
_atom_site_fract_x
_atom_site_fract_y
_atom_site_fract_z
Gd1 Gd 0.074 0.103 0.352
Si1 Si 0.407 0.163 0.656
H1 H 0.334 0.509 0.562
O1 O 0.256 0.163 0.755
O2 O 0.262 0.659 0.770
O3 O 0.284 0.546 0.059
O4 O 0.285 0.141 0.040
```

Peak list (10 most intense, 10° ≤ 2θ ≤ 90°, by angle)
hkl  two_theta  I/Imax
0 1 1  16.75  100
1 0 0  18.18  55
1 1 0  23.15  26
1 1 -2  23.94  47
1 1 1  27.53  35
1 1 -3  28.86  37
0 1 3  30.34  57
2 0 -2  33.21  90
1 1 2  33.86  29
1 0 4  47.36  31

# 2
For Cu2Ag5, a structure optimized by DFT (GGA-PBE) gives the calculated XRD peak list in this record (Cu Kα, 1.54184 Å).

Atomic structure:
```
data_Cu2Ag5
_chemical_formula_sum 'Cu4 Ag10'
_space_group_name_H-M_alt 'C 1 2/m 1'
_space_group_IT_number 12
_cell_length_a 9.494
_cell_length_b 2.884
_cell_length_c 8.392
_cell_angle_alpha 90.00
_cell_angle_beta 93.89
_cell_angle_gamma 90.00
loop_
_space_group_symop_operation_xyz
'x,y,z'
'-x,-y,-z'
'-x,y,-z'
'x,-y,z'
'x+1/2,y+1/2,z'
'-x+1/2,-y+1/2,-z'
'-x+1/2,y+1/2,-z'
'x+1/2,-y+1/2,z'
loop_
_atom_site_label
_atom_site_type_symbol
_atom_site_fract_x
_atom_site_fract_y
_atom_site_fract_z
Cu1 Cu 0.215 0.000 0.373
Ag1 Ag 0.000 0.500 0.500
Ag2 Ag 0.082 0.000 0.780
Ag3 Ag 0.142 0.500 0.086
```

Peak list (10 most intense, 10° ≤ 2θ ≤ 90°, by angle)
hkl  two_theta  I/Imax
2 0 3  38.54  33
1 1 -2  38.75  100
3 1 1  44.37  45
2 0 -4  46.21  18
6 0 2  64.48  8
1 1 5  65.80  12
5 1 -3  66.18  12
5 1 4  77.64  8
2 2 3  77.83  8
4 2 -1  78.00  15

# 3
For SrTh2Tc2, a structure optimized by DFT (GGA-PBE) gives the calculated XRD peak list in this record (Cu Kα, 1.54184 Å).

Atomic structure:
```
data_SrTh2Tc2
_chemical_formula_sum 'Sr4 Th8 Tc8'
_space_group_name_H-M_alt 'I b a m'
_space_group_IT_number 72
_space_group_name_Hall '-I 2 2c'
_cell_length_a 8.682
_cell_length_b 9.833
_cell_length_c 6.222
_cell_angle_alpha 90.00
_cell_angle_beta 90.00
_cell_angle_gamma 90.00
loop_
_atom_site_label
_atom_site_type_symbol
_atom_site_fract_x
_atom_site_fract_y
_atom_site_fract_z
Sr1 Sr 0.000 0.000 0.250
Th1 Th 0.115 0.353 0.000
Tc1 Tc 0.179 0.356 0.500
```

Peak list (10 most intense, 10° ≤ 2θ ≤ 90°, by angle)
hkl  two_theta  I/Imax
1 1 0  13.61  70
2 1 1  26.63  56
0 0 2  28.69  71
1 3 0  29.12  100
1 1 2  31.88  81
3 1 0  32.24  44
3 2 1  38.90  65
1 3 2  41.34  31
0 4 2  47.12  49
4 0 2  51.34  74

# 4
For NbZn16, a structure optimized by DFT (GGA-PBE) gives the calculated XRD peak list in this record (Cu Kα, 1.54184 Å).

Atomic structure:
```
data_NbZn16
_chemical_formula_sum 'Nb4 Zn64'
_space_group_name_H-M_alt 'C m c m'
_space_group_IT_number 63
_space_group_name_Hall '-C 2c 2'
_cell_length_a 7.670
_cell_length_b 11.407
_cell_length_c 11.631
_cell_angle_alpha 90.00
_cell_angle_beta 90.00
_cell_angle_gamma 90.00
loop_
_atom_site_label
_atom_site_type_symbol
_atom_site_fract_x
_atom_site_fract_y
_atom_site_fract_z
Nb1 Nb 0.000 0.048 0.250
Zn1 Zn 0.000 0.000 0.000
Zn2 Zn 0.000 0.176 0.640
Zn3 Zn 0.000 0.291 0.250
Zn4 Zn 0.000 0.380 0.532
Zn5 Zn 0.163 0.356 0.750
Zn6 Zn 0.168 0.187 0.069
Zn7 Zn 0.203 0.447 0.134
```

Peak list (10 most intense, 10° ≤ 2θ ≤ 90°, by angle)
hkl  two_theta  I/Imax
2 0 4  38.87  27
0 4 3  39.25  63
2 4 1  40.16  87
1 3 4  40.80  78
1 5 0  41.30  29
0 2 5  41.97  99
2 2 4  42.09  35
3 1 3  43.12  100
3 3 2  45.51  28
6 0 0  74.20  29

# 5
For Pr2GdTa2N6, a structure optimized by DFT (GGA-PBE) gives the calculated XRD peak list in this record (Cu Kα, 1.54184 Å).